# File
____________
Theoretical powder X-ray diffraction pattern
Compound: GeBiI
Radiation: Cu Kα X-rays
Structure: a GGA-PBE-relaxed structure
Neutral-atom scattering factors, no anomalous dispersion.

Cell and atoms:
Unit cell a=8.0815 b=8.0815 c=8.0815 alpha=55.93 beta=55.93 gamma=55.93
Atoms (fractional coordinates):
Ge: 0.9996 0.3578 0.6426
Ge: 0.3578 0.6426 0.9996
Ge: 0.6426 0.9996 0.3578
Bi: 0.0568 0.0568 0.0568
Bi: 0.2634 0.2634 0.2634
Bi: 0.5959 0.5959 0.5959
I: 0.1081 0.6657 0.5552
I: 0.5552 0.1081 0.6657
I: 0.6657 0.5552 0.1081

Peak list (10 most intense, 2θ from 15° to 90°, in order of rising 2θ)
d/Å	2θ (°)	I (rel.)
4.025	22.1	55
3.790	23.5	39
3.463	25.7	43
3.310	26.9	100
3.240	27.5	44
3.124	28.6	70
2.759	32.4	41
2.530	35.5	77
2.188	41.3	48
1.944	46.7	70

***

Theoretical powder X-ray diffraction pattern
Compound: Li3Hg8
Radiation: Cu Kα X-rays
Structure: a GGA-PBE-relaxed structure
Neutral-atom scattering factors, no anomalous dispersion.

Cell and atoms:
Unit cell a=6.4804 b=6.4804 c=6.4804 alpha=90.00 beta=90.00 gamma=90.00
Atoms (fractional coordinates):
Li: 0.0000 0.0000 0.5000
Li: 0.0000 0.5000 0.0000
Li: 0.5000 0.0000 0.0000
Hg: 0.2581 0.2581 0.2581
Hg: 0.2581 0.2581 0.7419
Hg: 0.2581 0.7419 0.2581
Hg: 0.2581 0.7419 0.7419
Hg: 0.7419 0.2581 0.2581
Hg: 0.7419 0.2581 0.7419
Hg: 0.7419 0.7419 0.2581
Hg: 0.7419 0.7419 0.7419

Peak list (10 most intense, 2θ from 15° to 90°, in order of rising 2θ)
d/Å	2θ (°)	I (rel.)
3.240	27.5	100
2.291	39.3	82
1.871	48.7	28
1.797	50.8	2
1.620	56.8	14
1.572	58.7	1
1.449	64.3	37
1.323	71.3	28
1.203	79.7	2
1.146	84.6	9

***

What did the second record say?
Theoretical powder X-ray diffraction pattern
Compound: Li3Hg8
Radiation: Cu Kα X-rays
Structure: a GGA-PBE-relaxed structure
Neutral-atom scattering factors, no anomalous dispersion.

Cell and atoms:
Unit cell a=6.4804 b=6.4804 c=6.4804 alpha=90.00 beta=90.00 gamma=90.00
Atoms (fractional coordinates):
Li: 0.0000 0.0000 0.5000
Li: 0.0000 0.5000 0.0000
Li: 0.5000 0.0000 0.0000
Hg: 0.2581 0.2581 0.2581
Hg: 0.2581 0.2581 0.7419
Hg: 0.2581 0.7419 0.2581
Hg: 0.2581 0.7419 0.7419
Hg: 0.7419 0.2581 0.2581
Hg: 0.7419 0.2581 0.7419
Hg: 0.7419 0.7419 0.2581
Hg: 0.7419 0.7419 0.7419

Peak list (10 most intense, 2θ from 15° to 90°, in order of rising 2θ)
d/Å	2θ (°)	I (rel.)
3.240	27.5	100
2.291	39.3	82
1.871	48.7	28
1.797	50.8	2
1.620	56.8	14
1.572	58.7	1
1.449	64.3	37
1.323	71.3	28
1.203	79.7	2
1.146	84.6	9

* * * * *

Pr2Dy2CBr3Cl2: theoretical XRD peak list (λ = 1.5418 Å (Cu Kα)), based on a GGA-PBE-relaxed structure.

Principal peaks in the range 5 to 70 degrees two-theta, by angle:
2theta	intensity
10.15	52
11.24	63
28.69	20
30.78	53
31.62	24
32.14	100
34.59	21
44.74	29
45.47	33
47.53	19

Crystal structure
```
Pr2Dy2CBr3Cl2
1.0
8.993 -1.913 0.000
8.993 1.913 0.000
-2.009 0.000 7.870
Pr Dy C Br Cl
2 2 1 3 2
Cartesian
2.456 0.000 0.652 Pr
13.521 0.000 7.217 Pr
8.594 0.000 1.595 Dy
7.383 0.000 6.275 Dy
0.000 0.000 0.000 C
-1.005 0.000 3.935 Br
5.637 0.000 1.507 Br
10.340 0.000 6.363 Br
4.893 0.000 5.146 Cl
11.084 0.000 2.724 Cl
```

=====

Pr2Dy2CBrCl4: theoretical XRD peak list (λ = 1.5418 Å (Cu Kα)), based on a GGA-PBE-relaxed structure.

Principal peaks in the range 5 to 70 degrees two-theta, by angle:
2theta	intensity
10.48	76
11.37	60
28.37	28
28.99	28
31.80	53
32.24	33
32.39	100
45.42	30
46.64	33
47.95	19

Crystal structure
```
Pr2Dy2CBrCl4
1.0
8.756 -1.897 0.000
8.756 1.897 0.000
-2.145 0.000 7.784
Pr Dy C Br Cl
2 2 1 1 4
Cartesian
2.438 0.000 0.694 Pr
12.928 0.000 7.090 Pr
8.312 0.000 1.585 Dy
7.055 0.000 6.199 Dy
0.000 0.000 0.000 C
-1.072 0.000 3.892 Br
5.513 0.000 1.348 Cl
4.592 0.000 5.015 Cl
10.774 0.000 2.769 Cl
9.853 0.000 6.436 Cl
```
____________

# What to do
Next, echo every line further above that contains the word "factors".

# Solution
Neutral-atom scattering factors, no anomalous dispersion.
Neutral-atom scattering factors, no anomalous dispersion.
Neutral-atom scattering factors, no anomalous dispersion.